(Data)
- - -
This entry pairs a crystal structure of Mg6CoC with its computed powder diffraction line list. Radiation: Cu Kα (weighted mean of Kα1 and Kα2). Structure: DFT lattice parameters and positions (GGA-PBE).

Cell and atoms:
```
data_Mg6CoC
_cell_length_a 3.836
_cell_length_b 8.140
_cell_length_c 9.054
_cell_angle_alpha 90.00
_cell_angle_beta 90.00
_cell_angle_gamma 90.00
_symmetry_space_group_name_H-M 'A m m 2'
_symmetry_Int_Tables_number 38
_symmetry_space_group_name_Hall 'A 2 -2'
loop_
_atom_site_label
_atom_site_fract_x
_atom_site_fract_y
_atom_site_fract_z
Mg1 0.000 0.000 0.000
Mg2 0.000 0.000 0.378
Mg3 0.000 0.181 0.671
Mg4 0.500 0.248 0.930
Co1 0.500 0.000 0.184
C1 0.500 0.000 0.531
```

Largest 12 diffraction maxima, by angle, 2θ from 15° to 90°:
- 3.240 Å, 2θ 27.53, I 25
- 2.599 Å, 2θ 34.51, I 31
- 2.376 Å, 2θ 37.86, I 100
- 2.277 Å, 2θ 39.58, I 53
- 2.264 Å, 2θ 39.82, I 16
- 2.035 Å, 2θ 44.52, I 13
- 1.918 Å, 2θ 47.40, I 20
- 1.543 Å, 2θ 59.94, I 12
- 1.506 Å, 2θ 61.57, I 8
- 1.463 Å, 2θ 63.59, I 8
- 1.342 Å, 2θ 70.11, I 11
- 1.178 Å, 2θ 81.77, I 9

~~~~~

1.
Pu2Si3Pd9: computed XRD peak list (copper Kα), based on a DFT-relaxed cell (PBE, Alexandria).
Peak positions follow from Bragg's law for the DFT cell and can differ from measured ones.

Largest 6 diffraction maxima, most intense first, 2θ = 15–90°:
37.7 deg, 2.388 Å, rel. 100, (3 1 2)
41.0 deg, 2.200 Å, rel. 61, (3 3 -1)
37.9 deg, 2.376 Å, rel. 54, (0 2 3)
40.5 deg, 2.229 Å, rel. 32, (6 0 -2)
39.5 deg, 2.284 Å, rel. 28, (0 0 4)
36.2 deg, 2.479 Å, rel. 19, (5 1 -1)

Crystal structure
```
data_Pu2Si3Pd9
_cell_length_a 13.3717
_cell_length_b 7.5896
_cell_length_c 10.1659
_cell_angle_alpha 90.00
_cell_angle_beta 115.96
_cell_angle_gamma 90.00
_space_group_name_H-M_alt 'C 1 2/c 1'
_space_group_IT_number 15
_space_group_name_Hall '-C 2yc'
loop_
_atom_site_label
_atom_site_type_symbol
_atom_site_fract_x
_atom_site_fract_y
_atom_site_fract_z
_atom_site_occupancy
Pu1 Pu 0.1729 0.0868 0.2472 1
Si1 Si 0.0855 0.2441 0.5017 1
Si2 Si 0.2500 0.2500 0.0000 1
Pd1 Pd 0.0000 0.3590 0.2500 1
Pd2 Pd 0.0571 0.0673 0.9203 1
Pd3 Pd 0.0985 0.4081 0.0387 1
Pd4 Pd 0.1072 0.3152 0.7471 1
Pd5 Pd 0.2299 0.4124 0.4316 1
```


2.
Y4Ho4Er: computed XRD peak list (copper Kα), based on a DFT-relaxed cell (PBE, Alexandria).
Peak positions follow from Bragg's law for the DFT cell and can differ from measured ones.

Largest 6 diffraction maxima, most intense first, 2θ = 15–90°:
30.9 deg, 2.893 Å, rel. 100, (3 0 1)
35.8 deg, 2.506 Å, rel. 50, (3 3 0)
51.6 deg, 1.772 Å, rel. 35, (6 0 0)
61.3 deg, 1.512 Å, rel. 28, (6 3 1)
61.4 deg, 1.509 Å, rel. 14, (3 0 3)
64.4 deg, 1.447 Å, rel. 12, (6 0 2)

Crystal structure
```
data_Y4Ho4Er
_cell_length_a 10.6395
_cell_length_b 10.6395
_cell_length_c 5.0022
_cell_angle_alpha 90.00
_cell_angle_beta 90.00
_cell_angle_gamma 90.00
_space_group_name_H-M_alt 'I 4/m m m'
_space_group_IT_number 139
_space_group_name_Hall '-I 4 2'
loop_
_atom_site_label
_atom_site_type_symbol
_atom_site_fract_x
_atom_site_fract_y
_atom_site_fract_z
_atom_site_occupancy
Y1 Y 0.1665 0.1665 0.0000 1
Ho1 Ho 0.0000 0.3346 0.5000 1
Er1 Er 0.0000 0.0000 0.5000 1
```


3.
Ac4PmY: computed XRD peak list (copper Kα), based on a DFT-relaxed cell (PBE, Alexandria).
Peak positions follow from Bragg's law for the DFT cell and can differ from measured ones.

Largest 6 diffraction maxima, most intense first, 2θ = 15–90°:
29.2 deg, 3.062 Å, rel. 100, (1 0 2)
28.9 deg, 3.085 Å, rel. 92, (0 1 3)
28.8 deg, 3.103 Å, rel. 47, (0 2 0)
57.7 deg, 1.598 Å, rel. 41, (2 2 0)
37.8 deg, 2.378 Å, rel. 30, (1 1 3)
41.5 deg, 2.178 Å, rel. 27, (1 2 2)

Crystal structure
```
data_Ac4PmY
_cell_length_a 3.7335
_cell_length_b 6.2058
_cell_length_c 10.6660
_cell_angle_alpha 90.00
_cell_angle_beta 90.00
_cell_angle_gamma 90.00
_space_group_name_H-M_alt 'P m m m'
_space_group_IT_number 47
_space_group_name_Hall '-P 2 2'
loop_
_atom_site_label
_atom_site_type_symbol
_atom_site_fract_x
_atom_site_fract_y
_atom_site_fract_z
- - -

(Activity)
Give back all of the entries above exactly.

(Result)
This entry pairs a crystal structure of Mg6CoC with its computed powder diffraction line list. Radiation: Cu Kα (weighted mean of Kα1 and Kα2). Structure: DFT lattice parameters and positions (GGA-PBE).

Cell and atoms:
```
data_Mg6CoC
_cell_length_a 3.836
_cell_length_b 8.140
_cell_length_c 9.054
_cell_angle_alpha 90.00
_cell_angle_beta 90.00
_cell_angle_gamma 90.00
_symmetry_space_group_name_H-M 'A m m 2'
_symmetry_Int_Tables_number 38
_symmetry_space_group_name_Hall 'A 2 -2'
loop_
_atom_site_label
_atom_site_fract_x
_atom_site_fract_y
_atom_site_fract_z
Mg1 0.000 0.000 0.000
Mg2 0.000 0.000 0.378
Mg3 0.000 0.181 0.671
Mg4 0.500 0.248 0.930
Co1 0.500 0.000 0.184
C1 0.500 0.000 0.531
```

Largest 12 diffraction maxima, by angle, 2θ from 15° to 90°:
- 3.240 Å, 2θ 27.53, I 25
- 2.599 Å, 2θ 34.51, I 31
- 2.376 Å, 2θ 37.86, I 100
- 2.277 Å, 2θ 39.58, I 53
- 2.264 Å, 2θ 39.82, I 16
- 2.035 Å, 2θ 44.52, I 13
- 1.918 Å, 2θ 47.40, I 20
- 1.543 Å, 2θ 59.94, I 12
- 1.506 Å, 2θ 61.57, I 8
- 1.463 Å, 2θ 63.59, I 8
- 1.342 Å, 2θ 70.11, I 11
- 1.178 Å, 2θ 81.77, I 9

~~~~~

1.
Pu2Si3Pd9: computed XRD peak list (copper Kα), based on a DFT-relaxed cell (PBE, Alexandria).
Peak positions follow from Bragg's law for the DFT cell and can differ from measured ones.

Largest 6 diffraction maxima, most intense first, 2θ = 15–90°:
37.7 deg, 2.388 Å, rel. 100, (3 1 2)
41.0 deg, 2.200 Å, rel. 61, (3 3 -1)
37.9 deg, 2.376 Å, rel. 54, (0 2 3)
40.5 deg, 2.229 Å, rel. 32, (6 0 -2)
39.5 deg, 2.284 Å, rel. 28, (0 0 4)
36.2 deg, 2.479 Å, rel. 19, (5 1 -1)

Crystal structure
```
data_Pu2Si3Pd9
_cell_length_a 13.3717
_cell_length_b 7.5896
_cell_length_c 10.1659
_cell_angle_alpha 90.00
_cell_angle_beta 115.96
_cell_angle_gamma 90.00
_space_group_name_H-M_alt 'C 1 2/c 1'
_space_group_IT_number 15
_space_group_name_Hall '-C 2yc'
loop_
_atom_site_label
_atom_site_type_symbol
_atom_site_fract_x
_atom_site_fract_y
_atom_site_fract_z
_atom_site_occupancy
Pu1 Pu 0.1729 0.0868 0.2472 1
Si1 Si 0.0855 0.2441 0.5017 1
Si2 Si 0.2500 0.2500 0.0000 1
Pd1 Pd 0.0000 0.3590 0.2500 1
Pd2 Pd 0.0571 0.0673 0.9203 1
Pd3 Pd 0.0985 0.4081 0.0387 1
Pd4 Pd 0.1072 0.3152 0.7471 1
Pd5 Pd 0.2299 0.4124 0.4316 1
```


2.
Y4Ho4Er: computed XRD peak list (copper Kα), based on a DFT-relaxed cell (PBE, Alexandria).
Peak positions follow from Bragg's law for the DFT cell and can differ from measured ones.

Largest 6 diffraction maxima, most intense first, 2θ = 15–90°:
30.9 deg, 2.893 Å, rel. 100, (3 0 1)
35.8 deg, 2.506 Å, rel. 50, (3 3 0)
51.6 deg, 1.772 Å, rel. 35, (6 0 0)
61.3 deg, 1.512 Å, rel. 28, (6 3 1)
61.4 deg, 1.509 Å, rel. 14, (3 0 3)
64.4 deg, 1.447 Å, rel. 12, (6 0 2)

Crystal structure
```
data_Y4Ho4Er
_cell_length_a 10.6395
_cell_length_b 10.6395
_cell_length_c 5.0022
_cell_angle_alpha 90.00
_cell_angle_beta 90.00
_cell_angle_gamma 90.00
_space_group_name_H-M_alt 'I 4/m m m'
_space_group_IT_number 139
_space_group_name_Hall '-I 4 2'
loop_
_atom_site_label
_atom_site_type_symbol
_atom_site_fract_x
_atom_site_fract_y
_atom_site_fract_z
_atom_site_occupancy
Y1 Y 0.1665 0.1665 0.0000 1
Ho1 Ho 0.0000 0.3346 0.5000 1
Er1 Er 0.0000 0.0000 0.5000 1
```


3.
Ac4PmY: computed XRD peak list (copper Kα), based on a DFT-relaxed cell (PBE, Alexandria).
Peak positions follow from Bragg's law for the DFT cell and can differ from measured ones.

Largest 6 diffraction maxima, most intense first, 2θ = 15–90°:
29.2 deg, 3.062 Å, rel. 100, (1 0 2)
28.9 deg, 3.085 Å, rel. 92, (0 1 3)
28.8 deg, 3.103 Å, rel. 47, (0 2 0)
57.7 deg, 1.598 Å, rel. 41, (2 2 0)
37.8 deg, 2.378 Å, rel. 30, (1 1 3)
41.5 deg, 2.178 Å, rel. 27, (1 2 2)

Crystal structure
```
data_Ac4PmY
_cell_length_a 3.7335
_cell_length_b 6.2058
_cell_length_c 10.6660
_cell_angle_alpha 90.00
_cell_angle_beta 90.00
_cell_angle_gamma 90.00
_space_group_name_H-M_alt 'P m m m'
_space_group_IT_number 47
_space_group_name_Hall '-P 2 2'
loop_
_atom_site_label
_atom_site_type_symbol
_atom_site_fract_x
_atom_site_fract_y
_atom_site_fract_z